Monday 3 September 2012

Want a good read?

I have just read a really lovely book by an author I had not come across before, Bella Pollen. It is not her first book which is also exciting because it means I have several more to read.

We have quite a small library here and I often think that the books never change, but I have certainly never seen books by this author during my previous searches.

'The Summer of the Bear' is a novel basically about a woman's search for answers to the death of her husband in mysterious circumstances and her attempts to keep her three children together on an island in the Outer Hebrides. It is a mystery story, a ghost story, a love story - all rolled into one. If you want a good read, do look out for it.

Dry weather is forecast here for the whole week, so it is all stations go as the farmer bites the bullet and cuts all his grass for second-crop silage. It is not hot but the sun is out and there is quite a keen wind blowing - just the right conditions at this time of the year particularly as the ground is so very wet following our wet summer. So keep your fingers crossed for a good, dry week and a good crop of silage at the end of it, so that the barn is nicely filled with winter feed.


  1. Hope that the weather holds until our farmers have cut whatever crops need cutting. What a dreadful year they have had. A few full barns will hopefully redeem the situation, if only partly.
    I will look out for that book - it sounds like a good one, though I hardly need another as there is a pile waiting for my attention!

  2. I'll look out for that book - it sounds worth reading, though as Heather said, I have a pile waiting my attention. I have just started An Echo in the Bone by Diana Gabaldon, as I am having a "season" of her books.

    Fingers crossed your husband and your neighbours get their 2nd silage crop cut and safely in.

  3. Hope the weather stays fair. I don't think there is any other career that is so at the mercy of the elements as farming, and those who can do it, are to be commended.

    The books sounds fascinating, and I will ask for it at my library. I agree that it's wonderful to find a new author who has a number of books out -- a whole new vein to be mined!

    Thanks for the hint. xoxo

  4. I looked at the sat images and there's not much rain about in Europe at the moment apart from NW Scotland, Provence, Italy near Rome and the islands Sardinia and Corsica.

  5. Hooray for dry - not a drop of rain here today, unusually, though strongish winds are on the way (they say).

    Aren't small libraries like that! You don't think you'll find anything you haven't seen on a previous visit and dismissed, and then, bing! an intriguing new title that gives every appearance of having been there forever.

  6. An excellent recommendation. Co-incidently Cait O' Connor had book recommendations today.
    I just finished Harriet by Elizabeth Jenkins a reprint of a 1935 true crime book. Very well done.(Persephone Books)
    Weather still too hot here! Hope harvesting goes well.

  7. Thanks for this, I am actually looking for a good read and will order this one from the library now.

  8. Hmm, the rain has now arrived in South West Scotland.

  9. Crossed fingers, Pat. Will look for this author in our local library - sometimes it is hard to get UK publications.

  10. I hope you have filled barns, here I am feeling the affects of the first hay fever of spring!
    We are having a quite warm and windy day and bang, itchy eyes and a filled nose.I had hoped to do some gardening but experience says, stay inside.
    I have just enjoyed reading a Margery Allingham book I found in the op shop, an Albert Campion I hadnt read called the case of the late pig, such fun. I dont suppose people read them any more.

  11. have a dry productive week!

    Aloha from Honolulu,
    my friend
    Comfort Spiral

  12. Fingers well and truly crossed. The forecast is similar for us.

'''
VASP calculation (GGA-PBE) on an optimized crystal structure of Tb3Pm2DyHo6.

symmetry = No. 12
energy of formation from the pure elements = 0.190 eV/f.u.
electronic total energy = -4.61 eV per atom

POSCAR file:
```
Tb3Pm2DyHo6
1.0
3.081 -5.331 0.000
3.081 5.331 0.000
-2.043 0.000 11.581
Tb Pm Dy Ho
3 2 1 6
Cartesian
0.000 0.000 0.000 Tb
3.081 1.776 0.000 Tb
3.081 -1.776 0.000 Tb
2.059 3.555 5.791 Pm
2.059 -3.555 5.791 Pm
2.059 0.000 5.791 Dy
1.028 1.775 2.879 Ho
0.015 0.000 8.704 Ho
1.028 -1.775 2.879 Ho
3.091 1.775 8.702 Ho
4.103 0.000 2.877 Ho
3.091 -1.775 8.702 Ho
```

----------

Here is crystalline K3Dy3InSe8 at its relaxed geometry from Alexandria. Energies are from GGA-PBE.

The structure in CIF format:
```
data_K3Dy3InSe8
_space_group_name_H-M_alt 'P 1'
_space_group_IT_number 1
_space_group_name_Hall 'P 1'
_cell_length_a 8.244
_cell_length_b 8.244
_cell_length_c 9.231
_cell_angle_alpha 116.58
_cell_angle_beta 116.58
_cell_angle_gamma 59.92
loop_
_atom_site_label
_atom_site_type_symbol
_atom_site_fract_x
_atom_site_fract_y
_atom_site_fract_z
K1 K 0.000 0.000 0.000
K2 K 0.000 0.500 0.000
K3 K 0.500 0.000 0.000
Dy1 Dy 0.000 0.500 0.500
Dy2 Dy 0.500 0.000 0.500
Dy3 Dy 0.500 0.500 0.500
In1 In 0.000 0.000 0.500
Se1 Se 0.232 0.232 0.702
Se2 Se 0.232 0.738 0.702
Se3 Se 0.262 0.768 0.298
Se4 Se 0.265 0.265 0.295
Se5 Se 0.735 0.735 0.705
Se6 Se 0.738 0.232 0.702
Se7 Se 0.768 0.262 0.298
Se8 Se 0.768 0.768 0.298
```

Calculated values
The value obtained for the formation energy from raw total energies is -1429 meV per atom.

----------

1.
TmS2BrCl (PBE-GGA, relaxed); crystal system = triclinic; space-group type = P-1 (2); E = -23.29 eV/f.u.; M_tot = 0.0 μB per formula unit
1.0
7.104 0.000 0.000
-3.373 6.601 0.000
-0.127 -3.717 6.816
Tm S Br Cl
2 4 2 2
Direct
0.164 0.337 0.000 Tm
0.836 0.663 0.000 Tm
0.048 0.143 0.251 S
0.217 0.965 0.943 S
0.783 0.035 0.057 S
0.952 0.857 0.749 S
0.416 0.393 0.737 Br
0.584 0.607 0.263 Br
0.117 0.676 0.244 Cl
0.883 0.324 0.756 Cl

***

2.
ZrS4Br4Cl2 (PBE-GGA, relaxed); crystal system = triclinic; space-group type = P-1 (2); E = -43.04 eV/f.u.; M_tot = 0.0 μB per formula unit
1.0
7.412 0.000 0.000
3.703 6.555 0.000
3.691 -1.762 6.917
Zr S Br Cl
1 4 4 2
Direct
0.000 0.000 0.000 Zr
0.116 0.607 0.503 S
0.225 0.336 0.336 S
0.775 0.664 0.664 S
0.884 0.393 0.497 S
0.193 0.972 0.220 Br
0.353 0.600 0.807 Br
0.647 0.400 0.193 Br
0.807 0.028 0.780 Br
0.238 0.129 0.779 Cl
0.762 0.871 0.221 Cl

***

3.
Sm2SbBrCl (PBE-GGA, relaxed); crystal system = trigonal; space-group type = P3m1 (156); E = -25.05 eV/f.u.; M_tot = 0.0 μB per formula unit
1.0
4.288 0.000 0.000
-2.144 3.713 0.000
0.000 0.000 10.643
Sm Sb Br Cl
2 1 1 1
Direct
0.000 0.000 0.000 Sm
0.333 0.667 0.662 Sm
0.667 0.333 0.831 Sb
0.333 0.667 0.165 Br
0.000 0.000 0.517 Cl

***

4.
Tb2Se2BrCl (PBE-GGA, relaxed); crystal system = orthorhombic; space-group type = Pmm2 (25); E = -31.64 eV/f.u.; M_tot = 0.0 μB per formula unit
1.0
4.120 0.000 0.000
0.000 5.673 0.000
'''
-- Back to the text --

  13. I've never read anything by Bella POllen though her name is familiar. I'll definitely look out for this one though, Outer Hebrides being the magical words here...

  14. Thanks for visiting - hope you manage to find the book and then enjoy reading it. Please call again.
